Juvenile-Probate Judge Candidates: D. Brode v. B. Berger
David Brode
Juvenile/Probate Judge

Next to the page, the page also holds data records =
=====
The following is a DFT calculation (PBE-GGA) of an optimized crystal structure of Na2YPCO7.

Structure (POSCAR):
```
Na2YPCO7
1.0
5.226 0.000 0.000
0.000 7.004 0.000
-0.110 0.000 9.286
Na Y P C O
4 2 2 2 14
Direct
0.231 0.000 0.208 Na
0.231 0.500 0.208 Na
0.769 0.000 0.792 Na
0.769 0.500 0.792 Na
0.224 0.250 0.630 Y
0.776 0.750 0.370 Y
0.295 0.750 0.582 P
0.705 0.250 0.418 P
0.269 0.250 0.928 C
0.731 0.750 0.072 C
0.043 0.250 0.864 O
0.183 0.569 0.653 O
0.183 0.931 0.653 O
0.224 0.750 0.417 O
0.300 0.250 0.062 O
0.406 0.250 0.407 O
0.464 0.250 0.838 O
0.536 0.750 0.162 O
0.594 0.750 0.593 O
0.700 0.750 0.938 O
0.776 0.250 0.583 O
0.817 0.069 0.347 O
0.817 0.431 0.347 O
0.957 0.750 0.136 O
```



The following is a DFT calculation (PBE-GGA) of an optimized crystal structure of KBi3.

Structure (POSCAR):
```
KBi3
1.0
5.072 0.000 0.000
0.000 5.072 0.000
0.000 0.000 5.072
K Bi
1 3
Direct
0.000 0.000 0.000 K
0.000 0.500 0.500 Bi
0.500 0.000 0.500 Bi
0.500 0.500 0.000 Bi
```



The following is a DFT calculation (PBE-GGA) of an optimized crystal structure of SrMg6Bi.

Structure (POSCAR):
```
SrMg6Bi
1.0
5.246 0.000 0.000
0.000 7.000 0.000
0.000 0.000 11.833
Mg Sr Bi
12 2 2
Direct
0.500 0.500 0.669 Mg
0.000 0.242 0.078 Mg
0.000 0.000 0.340 Mg
0.000 0.742 0.578 Mg
0.000 0.758 0.078 Mg
0.500 0.275 0.924 Mg
0.000 0.258 0.578 Mg
0.500 0.225 0.424 Mg
0.500 0.000 0.169 Mg
0.500 0.775 0.424 Mg
0.000 0.500 0.840 Mg
0.500 0.725 0.924 Mg
0.000 0.000 0.830 Sr
0.000 0.500 0.330 Sr
0.500 0.500 0.157 Bi
0.500 0.000 0.657 Bi
```

Results
**E above lowest polymorph**: 0.11 eV per formula unit



| no. | calculated total energy (eV per atom) | total magnetic moment (μB per formula unit) | ΔE_f (eV/atom) |
| --- | --- | --- | --- |
| 1 | -7.223 | 0.000 | -2.758 |
| 2 | -3.302 | 0.000 | -0.107 |
| 3 | -1.938 | 0.005 | -0.040 |

----------

{
  "formula": "TbPmRh2",
  "functional": "PBE",
  "state": "optimized geometry",
  "lattice_angstrom": [[6.994, 0.000, 0.000], [0.000, 6.994, 0.000], [0.000, 0.000, 6.994]],
  "species": ["Tb", "Tb", "Tb", "Tb", "Pm", "Pm", "Pm", "Pm", "Rh", "Rh", "Rh", "Rh", "Rh", "Rh", "Rh", "Rh"],
  "frac_coords": [[0.000, 0.000, 0.000], [0.000, 0.500, 0.500], [0.500, 0.000, 0.500], [0.500, 0.500, 0.000], [0.000, 0.000, 0.500], [0.000, 0.500, 0.000], [0.500, 0.000, 0.000], [0.500, 0.500, 0.500], [0.250, 0.250, 0.250], [0.250, 0.250, 0.750], [0.250, 0.750, 0.250], [0.250, 0.750, 0.750], [0.750, 0.250, 0.250], [0.750, 0.250, 0.750], [0.750, 0.750, 0.250], [0.750, 0.750, 0.750]]
}

---

{
  "formula": "PmZnRh2",
  "functional": "PBE",
  "state": "optimized geometry",
  "lattice_angstrom": [[6.568, 0.000, 0.000], [0.000, 6.568, 0.000], [0.000, 0.000, 6.568]],
  "species": ["Pm", "Pm", "Pm", "Pm", "Zn", "Zn", "Zn", "Zn", "Rh", "Rh", "Rh", "Rh", "Rh", "Rh", "Rh", "Rh"],
=====
In 2002, Brode said he left the court and became an assistant prosecuting attorney, where he continues to work today and assigned as general counsel for Portage County Job and Family Services.
Brode said he was given the opportunity to work for the current juvenile-probate judge, Tom Carnes and worked as magistrate for 11 years.
Brode said he spends most of his time representing children services agencies in juvenile court and the adult protective services agency in probate court. For most of Brode’s legal career, he has been working with the juvenile and probate court, handling child abuse and neglect cases in Portage county.
Brode has done eight years in commercial banking that is now under the name of Chase Bank and finished his career in banking as branch manager for Huntington Bank.
Brode received his bachelors and masters in business at Kent State University and attended University of Akron for law school.
The experience that I have, almost 24 years, as lawyer has been spent in the juvenile/ probate courts in Portage County. My entire life has been spent in this county, my entire career legal have been spent in the juvenile and probate courts. I spent 11 years as a judicial officer in that court. I’ve heard the cases from behind the bench and I am now responsible for presenting the case to the court in front of the bench. I know the juvenile and probate court, inside and out.
If elected I will protect families, protect children and keep a tight budget as their judge.
Robert (Bob) Berger
Juvenile/Probate Judge

Berger currently serves as magistrate under judge, Laura Pittman in Common Pleas Court.
Berger has practiced law for 37 years in Portage county as trial attorney and has done private practice for 30 years, and serves as magistrate for the last seven years to judge Pittman.
Berger received his degree in education from Kent State and joined the military after graduation. After serving time in the military he went to law school.
When I became a trial attorney in juvenile court, I had several cases of children who couldn’t stay out of the adult court – in other words we couldn’t steer them away with juvenile court and basically it broke my heart. I’m real enthusiastic about trying to keep kids out of the adult system and social welfare network and allow them to have their self-esteem and accomplish things. So, many children don’t have that background with the parents that I had, it’s a shame that they can’t find their niche in life
I just really think I can make a difference after 37 years. When Judge Carnes decided to retire, I thought ‘I want his job’. I want to try and bring my enthusiasm to that court.
I think the philosophy in working with children are in trouble with — is to be perfectly honest with them and consistent and give them consequences for their actions, not mean-spirited or anything like that, but consequences that are inconvenient to them to allow them a chance to think and progress and not make the same mistakes.
(I want) to do the best I can; I have a pretty good reputation as a hard worker and as a trial magistrate I have been able to hear jury trials and mistrials.
(Between two parts of the article: crystal structures)
/*
Material: Li3MnVP3O12
Method: DFT, GGA+U
State: optimized geometry

Cell lengths 8.660, 8.677, 12.635 Å; angles 105.56, 106.00, 95.61 degrees
Fractional coordinates of all 80 atoms:
Li (0.000, 0.000, 0.000)
Li (0.000, 0.001, 0.502)
Li (0.290, 0.707, 0.251)
Li (0.291, 0.700, 0.750)
Li (0.291, 0.707, 0.500)
Li (0.293, 0.713, 0.998)
Li (0.575, 0.415, 0.747)
Li (0.579, 0.419, 0.251)
Li (0.788, 0.206, 0.125)
Li (0.789, 0.207, 0.623)
Li (0.789, 0.207, 0.875)
Li (0.791, 0.210, 0.376)
Mn (0.232, 0.337, 0.809)
Mn (0.347, 0.084, 0.440)
Mn (0.348, 0.076, 0.938)
Mn (0.916, 0.652, 0.561)
V (0.233, 0.331, 0.306)
V (0.668, 0.764, 0.694)
V (0.669, 0.762, 0.196)
V (0.910, 0.651, 0.056)
P (0.003, 0.998, 0.250)
P (0.004, 0.998, 0.749)
P (0.149, 0.374, 0.055)
P (0.154, 0.373, 0.559)
P (0.429, 0.046, 0.192)
P (0.431, 0.042, 0.692)
P (0.574, 0.416, 0.000)
P (0.578, 0.421, 0.500)
P (0.622, 0.841, 0.441)
P (0.627, 0.838, 0.943)
P (0.951, 0.568, 0.309)
P (0.954, 0.576, 0.807)
O (0.025, 0.172, 0.239)
O (0.025, 0.882, 0.638)
O (0.029, 0.883, 0.142)
O (0.031, 0.171, 0.737)
O (0.116, 0.974, 0.862)
O (0.116, 0.978, 0.364)
O (0.130, 0.557, 0.075)
O (0.134, 0.550, 0.322)
O (0.137, 0.567, 0.822)
O (0.145, 0.557, 0.580)
O (0.235, 0.323, 0.959)
O (0.239, 0.319, 0.464)
O (0.275, 0.368, 0.168)
O (0.278, 0.364, 0.674)
O (0.305, 0.045, 0.075)
O (0.308, 0.045, 0.577)
O (0.337, 0.106, 0.285)
O (0.342, 0.092, 0.786)
O (0.437, 0.852, 0.420)
O (0.443, 0.847, 0.928)
O (0.447, 0.864, 0.179)
O (0.450, 0.859, 0.675)
O (0.464, 0.439, 0.886)
O (0.466, 0.446, 0.389)
O (0.547, 0.241, 0.010)
O (0.547, 0.532, 0.107)
O (0.551, 0.531, 0.610)
O (0.553, 0.243, 0.507)
O (0.589, 0.164, 0.228)
O (0.591, 0.162, 0.728)
O (0.630, 0.716, 0.828)
O (0.632, 0.716, 0.329)
O (0.678, 0.759, 0.538)
O (0.692, 0.753, 0.039)
O (0.738, 0.002, 0.475)
O (0.740, 0.001, 0.977)
O (0.751, 0.442, 0.993)
O (0.755, 0.447, 0.493)
O (0.827, 0.970, 0.260)
O (0.829, 0.974, 0.760)
O (0.833, 0.409, 0.273)
O (0.841, 0.413, 0.773)
O (0.888, 0.663, 0.712)
O (0.892, 0.660, 0.216)
O (0.949, 0.698, 0.921)
O (0.955, 0.691, 0.426)
O (0.990, 0.254, 0.021)
O (0.992, 0.257, 0.524)

Calculated values
- calculated volume (Å³ per atom) = 10.80
- theoretical density (g/cm³) = 3.16
- offset from the most stable computed form (eV per atom) = 0.042
- ΔE_f (eV/f.u.) = -52.3


No. 1
Here is a geometry-optimized NaMo2H25C8O10 structure from the Materials Project. Energies are from PBE with a Hubbard U.

- magnetization (μB per formula unit) = 2.0
- energy of formation (kJ per mole of atoms) = -67.6
- energy with MP2020 corrections (eV/atom) = -5.73

Unit cell a=9.3603 b=14.5415 c=15.0790 alpha=90.00 beta=98.74 gamma=90.00
Atoms (fractional coordinates):
Na: 0.7876 0.7754 0.6626
Na: 0.2124 0.2754 0.8374
Na: 0.2124 0.2246 0.3374
Na: 0.7876 0.7246 0.1626
Mo: 0.0951 0.8002 0.5618
Mo: 0.9049 0.3002 0.9382
Mo: 0.9049 0.1998 0.4382
Mo: 0.0951 0.6998 0.0618
Mo: 0.4299 0.7984 0.5694
Mo: 0.5701 0.2984 0.9306
Mo: 0.5701 0.2016 0.4306
Mo: 0.4299 0.7016 0.0694
*/
(Here the article continues)
I plan on using my experience to relieve the stress on parents going through a divorce and give the parents a chance to think about the best interests of the children and what the children are going through. I’d like have another program like (Children First) in the juvenile court because in the juvenile court, it does three things: 1. delinquencies for the felon, 2. deciding custody visitation and child support of unmarried parents, 3. protecting the children from neglect and abuse
Juvenile and Probate Judge handles cases dealing with the well-being of children, juvenile traffic cases, delinquency, guardianship for minors, adoptions, name changes and more.